# Material
┌──
# 1
SrC3O7 | the Materials Project database | PBE-GGA | optimized geometry; uncorrected energy = -7.215 eV per atom; calculated formation energy = -1.8328 eV/atom; V = 17.96 Å³ per atom; energy with MP2020 corrections = -7.6520 eV/atom
1.0
6.3823 0.0000 0.0000
0.0000 17.1068 0.0000
-5.8236 0.0000 7.2371
Sr C O
4 12 28
Direct
0.1469 0.0490 0.2544 Sr
0.1469 0.4510 0.7544 Sr
0.8531 0.5490 0.2456 Sr
0.8531 0.9510 0.7456 Sr
0.0513 0.7221 0.6738 C
0.0513 0.7779 0.1738 C
0.3934 0.2054 0.7533 C
0.3934 0.2946 0.2533 C
0.4957 0.0218 0.0732 C
0.4957 0.4782 0.5732 C
0.5043 0.5218 0.4268 C
0.5043 0.9782 0.9268 C
0.6066 0.7054 0.7467 C
0.6066 0.7946 0.2467 C
0.9487 0.2221 0.8262 C
0.9487 0.2779 0.3262 C
0.0166 0.6722 0.5737 O
0.0166 0.8278 0.0737 O
0.0828 0.7273 0.2713 O
0.0828 0.7727 0.7713 O
0.2736 0.0172 0.0466 O
0.2736 0.4828 0.5466 O
0.2971 0.5579 0.2975 O
0.2971 0.9421 0.7975 O
0.3167 0.1478 0.6644 O
0.3167 0.3522 0.1644 O
0.4019 0.5551 0.9594 O
0.4019 0.9449 0.4594 O
0.4693 0.2366 0.3407 O
0.4693 0.2634 0.8407 O
0.5307 0.7366 0.1593 O
0.5307 0.7634 0.6593 O
0.5981 0.0551 0.5406 O
0.5981 0.4449 0.0406 O
0.6833 0.6478 0.8356 O
0.6833 0.8522 0.3356 O
0.7029 0.0579 0.2025 O
0.7029 0.4421 0.7025 O
0.7264 0.5172 0.4534 O
0.7264 0.9828 0.9534 O
0.9172 0.2273 0.2287 O
0.9172 0.2727 0.7287 O
0.9834 0.1722 0.9263 O
0.9834 0.3278 0.4263 O

=====

# 2
SrC2O4 | the Materials Project database | PBE-GGA | optimized geometry; uncorrected energy = -7.071 eV per atom; calculated formation energy = -1.7584 eV/atom; V = 16.14 Å³ per atom; energy with MP2020 corrections = -7.4639 eV/atom
1.0
6.9054 0.0000 0.0000
0.0000 7.4550 0.0000
0.0000 0.0000 8.7791
Sr C O
4 8 16
Direct
0.0026 0.2391 0.1709 Sr
0.4974 0.7609 0.6709 Sr
0.5026 0.2609 0.8291 Sr
0.9974 0.7391 0.3291 Sr
0.1179 0.5562 0.6933 C
0.2292 0.1373 0.5086 C
0.2708 0.8627 0.0086 C
0.3821 0.4438 0.1933 C
0.6179 0.9438 0.3067 C
0.7292 0.3627 0.4914 C
0.7708 0.6373 0.9914 C
0.8821 0.0562 0.8067 C
0.1225 0.6819 0.5977 O
0.1319 0.0607 0.4071 O
0.1569 0.9198 0.1078 O
0.2497 0.4943 0.7758 O
0.2503 0.5057 0.2758 O
0.3431 0.0802 0.6078 O
0.3681 0.9393 0.9071 O
0.3775 0.3181 0.0977 O
0.6225 0.8181 0.4023 O
0.6319 0.4393 0.5929 O
0.6569 0.5802 0.8922 O
0.7497 0.0057 0.2242 O
0.7503 0.9943 0.7242 O
0.8431 0.4198 0.3922 O
0.8681 0.5607 0.0929 O
0.8775 0.1819 0.9023 O

=====

# 3
SrCO3 | the Materials Project database | PBE-GGA | optimized geometry; uncorrected energy = -7.417 eV per atom; calculated formation energy = -2.6768 eV/atom; V = 14.88 Å³ per atom; energy with MP2020 corrections = -7.8292 eV/atom
1.0
2.6289 1.5178 6.2145
-2.6289 1.5178 6.2145
0.0000 -3.0356 6.2145
Sr C O
2 2 6
Direct
0.0000 0.0000 0.0000 Sr
0.5000 0.5000 0.5000 Sr
0.2500 0.2500 0.2500 C
0.7500 0.7500 0.7500 C
0.0026 0.2500 0.4974 O
0.2500 0.4974 0.0026 O
0.4974 0.0026 0.2500 O
0.5026 0.9974 0.7500 O
0.7500 0.5026 0.9974 O
0.9974 0.7500 0.5026 O

=====

# 4
SrCO3 | the Materials Project database | PBE-GGA | optimized geometry; uncorrected energy = -7.409 eV per atom; calculated formation energy = -2.6683 eV/atom; V = 14.91 Å³ per atom; energy with MP2020 corrections = -7.8207 eV/atom
1.0
2.5874 1.4938 3.2142
-2.5874 1.4938 3.2142
0.0000 -2.9877 3.2142
Sr C O
1 1 3
Direct
0.0000 0.0000 0.0000 Sr
0.5000 0.5000 0.5000 C
0.2482 0.7518 0.5000 O
0.5000 0.2482 0.7518 O
0.7518 0.5000 0.2482 O

=====

# 5
SrC2O4 | the Materials Project database | PBE-GGA | optimized geometry; uncorrected energy = -7.462 eV per atom; calculated formation energy = -2.1488 eV/atom; V = 14.20 Å³ per atom; energy with MP2020 corrections = -7.8543 eV/atom
1.0
5.0410 0.0000 0.0000
0.0000 6.8371 0.0000
0.0000 0.0000 11.5392
Sr C O
4 8 16
Direct
0.0079 0.0055 0.4296 Sr
0.4921 0.9945 0.9296 Sr
0.5079 0.4945 0.5704 Sr
0.9921 0.5055 0.0704 Sr
0.1716 0.3838 0.8054 C
0.1789 0.4202 0.3304 C
0.3211 0.5798 0.8304 C
0.3284 0.6162 0.3054 C
0.6716 0.1162 0.1946 C
0.6789 0.0798 0.6696 C
0.8211 0.9202 0.1696 C
0.8284 0.8838 0.6946 C
0.1068 0.3184 0.2451 O
0.1186 0.2797 0.8951 O
└──

# Exercise
The reader should write out the whole of the calculation results further up verbatim.

# Response
# 1
SrC3O7 | the Materials Project database | PBE-GGA | optimized geometry; uncorrected energy = -7.215 eV per atom; calculated formation energy = -1.8328 eV/atom; V = 17.96 Å³ per atom; energy with MP2020 corrections = -7.6520 eV/atom
1.0
6.3823 0.0000 0.0000
0.0000 17.1068 0.0000
-5.8236 0.0000 7.2371
Sr C O
4 12 28
Direct
0.1469 0.0490 0.2544 Sr
0.1469 0.4510 0.7544 Sr
0.8531 0.5490 0.2456 Sr
0.8531 0.9510 0.7456 Sr
0.0513 0.7221 0.6738 C
0.0513 0.7779 0.1738 C
0.3934 0.2054 0.7533 C
0.3934 0.2946 0.2533 C
0.4957 0.0218 0.0732 C
0.4957 0.4782 0.5732 C
0.5043 0.5218 0.4268 C
0.5043 0.9782 0.9268 C
0.6066 0.7054 0.7467 C
0.6066 0.7946 0.2467 C
0.9487 0.2221 0.8262 C
0.9487 0.2779 0.3262 C
0.0166 0.6722 0.5737 O
0.0166 0.8278 0.0737 O
0.0828 0.7273 0.2713 O
0.0828 0.7727 0.7713 O
0.2736 0.0172 0.0466 O
0.2736 0.4828 0.5466 O
0.2971 0.5579 0.2975 O
0.2971 0.9421 0.7975 O
0.3167 0.1478 0.6644 O
0.3167 0.3522 0.1644 O
0.4019 0.5551 0.9594 O
0.4019 0.9449 0.4594 O
0.4693 0.2366 0.3407 O
0.4693 0.2634 0.8407 O
0.5307 0.7366 0.1593 O
0.5307 0.7634 0.6593 O
0.5981 0.0551 0.5406 O
0.5981 0.4449 0.0406 O
0.6833 0.6478 0.8356 O
0.6833 0.8522 0.3356 O
0.7029 0.0579 0.2025 O
0.7029 0.4421 0.7025 O
0.7264 0.5172 0.4534 O
0.7264 0.9828 0.9534 O
0.9172 0.2273 0.2287 O
0.9172 0.2727 0.7287 O
0.9834 0.1722 0.9263 O
0.9834 0.3278 0.4263 O

=====

# 2
SrC2O4 | the Materials Project database | PBE-GGA | optimized geometry; uncorrected energy = -7.071 eV per atom; calculated formation energy = -1.7584 eV/atom; V = 16.14 Å³ per atom; energy with MP2020 corrections = -7.4639 eV/atom
1.0
6.9054 0.0000 0.0000
0.0000 7.4550 0.0000
0.0000 0.0000 8.7791
Sr C O
4 8 16
Direct
0.0026 0.2391 0.1709 Sr
0.4974 0.7609 0.6709 Sr
0.5026 0.2609 0.8291 Sr
0.9974 0.7391 0.3291 Sr
0.1179 0.5562 0.6933 C
0.2292 0.1373 0.5086 C
0.2708 0.8627 0.0086 C
0.3821 0.4438 0.1933 C
0.6179 0.9438 0.3067 C
0.7292 0.3627 0.4914 C
0.7708 0.6373 0.9914 C
0.8821 0.0562 0.8067 C
0.1225 0.6819 0.5977 O
0.1319 0.0607 0.4071 O
0.1569 0.9198 0.1078 O
0.2497 0.4943 0.7758 O
0.2503 0.5057 0.2758 O
0.3431 0.0802 0.6078 O
0.3681 0.9393 0.9071 O
0.3775 0.3181 0.0977 O
0.6225 0.8181 0.4023 O
0.6319 0.4393 0.5929 O
0.6569 0.5802 0.8922 O
0.7497 0.0057 0.2242 O
0.7503 0.9943 0.7242 O
0.8431 0.4198 0.3922 O
0.8681 0.5607 0.0929 O
0.8775 0.1819 0.9023 O

=====

# 3
SrCO3 | the Materials Project database | PBE-GGA | optimized geometry; uncorrected energy = -7.417 eV per atom; calculated formation energy = -2.6768 eV/atom; V = 14.88 Å³ per atom; energy with MP2020 corrections = -7.8292 eV/atom
1.0
2.6289 1.5178 6.2145
-2.6289 1.5178 6.2145
0.0000 -3.0356 6.2145
Sr C O
2 2 6
Direct
0.0000 0.0000 0.0000 Sr
0.5000 0.5000 0.5000 Sr
0.2500 0.2500 0.2500 C
0.7500 0.7500 0.7500 C
0.0026 0.2500 0.4974 O
0.2500 0.4974 0.0026 O
0.4974 0.0026 0.2500 O
0.5026 0.9974 0.7500 O
0.7500 0.5026 0.9974 O
0.9974 0.7500 0.5026 O

=====

# 4
SrCO3 | the Materials Project database | PBE-GGA | optimized geometry; uncorrected energy = -7.409 eV per atom; calculated formation energy = -2.6683 eV/atom; V = 14.91 Å³ per atom; energy with MP2020 corrections = -7.8207 eV/atom
1.0
2.5874 1.4938 3.2142
-2.5874 1.4938 3.2142
0.0000 -2.9877 3.2142
Sr C O
1 1 3
Direct
0.0000 0.0000 0.0000 Sr
0.5000 0.5000 0.5000 C
0.2482 0.7518 0.5000 O
0.5000 0.2482 0.7518 O
0.7518 0.5000 0.2482 O

=====

# 5
SrC2O4 | the Materials Project database | PBE-GGA | optimized geometry; uncorrected energy = -7.462 eV per atom; calculated formation energy = -2.1488 eV/atom; V = 14.20 Å³ per atom; energy with MP2020 corrections = -7.8543 eV/atom
1.0
5.0410 0.0000 0.0000
0.0000 6.8371 0.0000
0.0000 0.0000 11.5392
Sr C O
4 8 16
Direct
0.0079 0.0055 0.4296 Sr
0.4921 0.9945 0.9296 Sr
0.5079 0.4945 0.5704 Sr
0.9921 0.5055 0.0704 Sr
0.1716 0.3838 0.8054 C
0.1789 0.4202 0.3304 C
0.3211 0.5798 0.8304 C
0.3284 0.6162 0.3054 C
0.6716 0.1162 0.1946 C
0.6789 0.0798 0.6696 C
0.8211 0.9202 0.1696 C
0.8284 0.8838 0.6946 C
0.1068 0.3184 0.2451 O
0.1186 0.2797 0.8951 O